My definition of over-providing is giving more than is sustainable for the wrong reasons.
You might also call it over-giving, over-delivering, or being the world’s breast. Or as Jeanne Witcraft said on Facebook when I asked for examples of over-providing,
“Nourishing all from your own body, pouring everything extra into growing potential for others while withering yourself.” Exactly.
Over-providing might look like:
- Reading your friend’s entire blog when the request was for writing feedback on one post
- Walking deeper into a relationship that starts with discombobulation, unprofessional approach and devaluation (Thanks Dyana Valentine for that one)
- Underpricing your services
- Doing everything for your kids/partner/mother/father/brother/sister first
- Bankrupting yourself to rescue someone else
- Always giving advice
- Saying yes when you have no ability to deliver what you just promised
- Not napping when your baby naps and working instead, even though you haven’t had more than 3 hours of sleep in two years (Thanks Randi Buckley)
- Add your own.
The generative spiral we walk toward wholeness
However it shows up, the effects are the same:
- A hollow feeling of not being enough
- A jittery compulsion to fix people’s pain
- Eroded intimacy (“They only love me because I do so much.”)
- Nails on the chalkboard irritability
- Lack of mojo and motivation and general refrain of “What difference does it make?”
- Spacey loneliness
- Jaw clenching exhaustion
- Feeling “unclean” about why you give
- A lot of hand wringing about the state of _____
- Never really getting to your true desire, never getting to your work, to your life
Now I imagine some of you are saying,
“You can’t over-provide in this world. You have to always be giving 110% percent to be the best. What about leaving it all on the table, pushing yourself to give it all?”
That, my wonderful friend, is about choosing to show up, fully resourced and ready to do your work, to open your heart, to be in relationship. And that can never be done when you are trying to do everything for everyone with no regard for yourself.
Showing up and giving it all can be an exhilarating choice and the only way to do that is to choose yourself first.
Over-delivering is not choosing anybody or anything. It’s indiscriminate, a bit like a Ramada Inn lounge singer hoping to find creative meaning by performing endless Paul Anka covers.
Why do we over-deliver and over-give?
- We believe we aren’t smart enough or talented enough to give what we really want to give (our creative work for only one example) so we settle for gushing like a broken fire hydrant what we can give – advice, money, meals, attention.
- We are afraid to claim what we desire so we distract ourselves with over-giving.
- We were raised in a culture that says women should give until it hurts, give before they take anything for themselves, etc.
- Our biology – women are hardwired to be in relationship, and all humans are hard-wired to belong. Over-providing keeps you in the tribe.
- We’re empathetic, we see that people need and we want to help.
- We want to have an impact, we want our lives to matter.
- We’ve gotten confused about where giving our best crosses into over-providing.
- We forget we are human with humans bodies and human limits.
- We want to be loved, feted, needed.
- Survival – we have known times when over- providing kept us safe from harm.
- We don’t yet belong to ourselves.
If this is hitting home, right now, back away from shame. You are hardwired to give and you are a deeply empathetic person (just guessing). That is a lovely thing that the world benefits from. It’s not about changing your giving nature but about balancing things out a bit. Okay?
Gate to belonging to yourself
Here a few balancing antidotes:
Write down everything you do for others in a 24 hour period. This is far harder than it seems. If you have a lot of resistance, you may be deeply identified with over-providing as in “This is what makes me me, dammit” or you just may be so exhausted by over-doing that you need a nap. Either way, pay attention.
Start the day with five minutes of extravagant self-praise. Read emails that make you light up, recall compliments, shower gratitude on yourself. Imagine this praise in the form of hummingbirds streaming into the back of your heart. This will change your very cells.
Deputize a few beloveds to check in with before you say yes to something else. I have told Deb, my trusty VA of ten years, that I will fire her if she lets me say yes to any partnerships or big projects without first checking in with Bob and my Brain Trust. Double fire wall.
Test reality – is is true that if you don’t read your friend’s entire blog, he will drop you as a friend? Is it true that if you stop trading your services for admin help that doesn’t actually help you will go broke? Take one simple clear instant and do something different and then check in, what actually happened?
Get used to saying, “Let me get back to you.” Then make a list of all the reasons you must do this. Then go down the list asking, “Is that true” then check in with your deputized beloveds.
(Someone pasted crystal structures at this point)
1.
The following is a DFT calculation (PBE) of crystalline LiNiAu at its relaxed geometry.

abc: 5.358 3.863 8.221
angles: 90.00 105.05 90.00
Each line ends with the local moment (μB).
Fractional coordinates of all 12 atoms:
1 Li 0.376 0.000 0.652  0.00
2 Li 0.720 0.000 0.332  0.00
3 Li 0.720 0.500 0.832  0.00
4 Li 0.376 0.500 0.152  0.00
5 Ni 0.056 0.500 0.497  0.26
6 Ni 0.056 0.000 0.997  0.26
7 Ni 0.195 0.500 0.831  0.21
8 Ni 0.195 0.000 0.331  0.21
9 Au 0.901 0.500 0.167  0.01
10 Au 0.901 0.000 0.667  0.01
11 Au 0.535 0.500 0.483  -0.01
12 Au 0.535 0.000 0.983  -0.01

Magnetic moment = 0.071 μB/atom
Symmetry = No. 8
Formation enthalpy at 0 K = -220 meV/atom

2.
The following is a DFT calculation (PBE) of crystalline LiNi2Au at its relaxed geometry.

abc: 4.995 4.995 4.995
angles: 146.98 131.16 60.23
Each line ends with the local moment (μB).
Fractional coordinates of all 4 atoms:
1 Ni 0.008 0.008 0.000  0.16
2 Ni 0.492 0.492 0.000  0.16
3 Au 0.750 0.250 0.500  -0.01
4 Li 0.250 0.750 0.500  0.00

Magnetic moment = 0.070 μB/atom
Symmetry = No. 71
Formation enthalpy at 0 K = -41 meV/atom

3.
The following is a DFT calculation (PBE) of crystalline LiNi2Au at its relaxed geometry.

abc: 4.498 4.498 4.623
angles: 80.06 80.06 34.81
Each line ends with the local moment (μB).
Fractional coordinates of all 4 atoms:
1 Ni 0.008 0.008 0.971  0.44
2 Ni 0.745 0.745 0.791  0.48
3 Au 0.495 0.495 0.482  0.00
4 Li 0.251 0.251 0.255  -0.01

Magnetic moment = 0.212 μB/atom
Symmetry = No. 8
Formation enthalpy at 0 K = -42 meV/atom

4.
The following is a DFT calculation (PBE) of crystalline LiNi2Au at its relaxed geometry.

abc: 2.962 2.962 5.962
angles: 90.00 90.00 90.00
Each line ends with the local moment (μB).
Fractional coordinates of all 4 atoms:
1 Li 0.500 0.500 0.769  -0.01
2 Ni 0.500 0.500 0.212  0.53
3 Ni 0.000 0.000 0.017  0.56
4 Au 0.000 0.000 0.502  0.00

Magnetic moment = 0.259 μB/atom
Symmetry = No. 99
Formation enthalpy at 0 K = -26 meV/atom

5.
The following is a DFT calculation (PBE) of crystalline LiNiAu2 at its relaxed geometry.

abc: 4.404 3.031 4.403
angles: 90.01 90.00 90.00
Fractional coordinates of all 4 atoms:
1 Au 0.000 0.125 0.876
2 Au 0.500 0.125 0.373
3 Ni 0.500 0.625 0.873
4 Li 0.000 0.625 0.377

Magnetic moment = 0.000 μB/atom
Symmetry = No. 25
Formation enthalpy at 0 K = -270 meV/atom

6.
The following is a DFT calculation (PBE) of crystalline LiNiAu at its relaxed geometry.

abc: 3.658 12.006 3.744
angles: 90.00 90.00 90.00
Each line ends with the local moment (μB).
Fractional coordinates of all 12 atoms:
1 Ni 0.000 0.747 0.250  0.21
2 Ni 0.000 0.253 0.750  0.21
3 Ni 0.500 0.247 0.250  0.21
4 Ni 0.500 0.753 0.750  0.21
5 Au 0.500 0.091 0.750  0.01
6 Au 0.000 0.409 0.250  0.01
7 Au 0.000 0.591 0.750  0.01
8 Au 0.500 0.909 0.250  0.01
9 Li 0.500 0.410 0.750  0.00
10 Li 0.500 0.590 0.250  0.00
11 Li 0.000 0.910 0.750  0.00
12 Li 0.000 0.090 0.250  0.00

Magnetic moment = 0.067 μB/atom
Symmetry = No. 63
(Here the article continues)
Deepen your practice of belong to yourself. Let that be your focus for a few months – or if you are like me, lifetimes!
Whatever you do, please don’t shame yourself about providing more than is sustainable. There are bountiful and legitimate reasons as well as a massive cultural and historical legacy why we do this. The goal is never blame but only evolution toward wholeness.
P.S. If this post resonates, please consider joining me for either of my Kripalu retreats in October. We’ll dig deep in innovative pleasurable ways into how to belong to ourselves and gently detach from patterns that no longer serve. If you stay in a dorm, it’s an amazing self-care deal.